### What to do
Repeat all of the calculation results below with every line break kept.
### File
'''
# 1
The following is a DFT calculation (PBE) of an optimized crystal structure of TbNb4O8.

Cell and atoms, written as POSCAR:
```
TbNb4O8
1.0
5.255 0.000 -2.835
-3.392 4.913 0.000
0.257 0.178 6.763
Tb Nb O
1 4 8
Direct
0.000 0.500 0.500 Tb
0.000 0.000 0.000 Nb
0.000 0.500 0.000 Nb
0.500 0.500 0.000 Nb
0.500 0.000 0.000 Nb
0.468 0.734 0.201 O
0.532 0.266 0.799 O
0.492 0.246 0.229 O
0.018 0.264 0.771 O
0.508 0.754 0.771 O
0.018 0.754 0.771 O
0.982 0.246 0.229 O
0.982 0.736 0.229 O
```

SG   R-3m
Calculated volume   179.89 Å³/f.u.
Total DFT energy (no corrections)   -0.653 Ry per atom
Density of states at the Fermi level   0.55 states/eV/atom
Magnetic moment   0.000 μB/f.u.

=====

# 2
The following is a DFT calculation (PBE) of an optimized crystal structure of TbNbO4.

Cell and atoms, written as POSCAR:
```
TbNbO4
1.0
-1.569 1.846 -5.702
-0.210 -6.135 0.840
-4.083 2.519 3.921
Tb Nb O
2 2 8
Direct
0.000 0.000 0.000 Tb
0.250 0.750 0.500 Tb
0.500 0.500 0.000 Nb
0.750 0.250 0.500 Nb
0.317 0.509 0.192 O
0.874 0.683 0.192 O
0.376 0.067 0.308 O
0.491 0.683 0.808 O
0.317 0.126 0.808 O
0.933 0.241 0.308 O
0.933 0.624 0.692 O
0.759 0.067 0.692 O
```

SG   I4_1/amd
Calculated volume   91.05 Å³/f.u.
Total DFT energy (no corrections)   -0.646 Ry per atom
Density of states at the Fermi level   0.00 states/eV/atom
Magnetic moment   0.000 μB/f.u.

=====

# 3
The following is a DFT calculation (PBE) of an optimized crystal structure of TbNbO4.

Cell and atoms, written as POSCAR:
```
TbNbO4
1.0
-5.178 1.520 0.722
-1.675 -4.890 -1.713
0.160 -1.745 4.825
Tb Nb O
2 2 8
Direct
0.500 0.500 0.000 Tb
0.000 0.000 0.000 Tb
0.000 0.500 0.500 Nb
0.500 0.000 0.500 Nb
0.189 0.689 0.258 O
0.811 0.689 0.742 O
0.811 0.311 0.258 O
0.189 0.311 0.742 O
0.689 0.189 0.742 O
0.311 0.189 0.258 O
0.689 0.811 0.258 O
0.311 0.811 0.742 O
```

SG   P4/nbm
Calculated volume   76.10 Å³/f.u.
Total DFT energy (no corrections)   -0.650 Ry per atom
Density of states at the Fermi level   0.00 states/eV/atom
Magnetic moment   0.000 μB/f.u.

=====

# 4
The following is a DFT calculation (PBE) of an optimized crystal structure of Tb3NbO7.

Cell and atoms, written as POSCAR:
```
Tb3NbO7
1.0
7.484 0.000 0.000
0.000 7.605 0.000
0.000 0.000 10.645
Tb Nb O
12 4 28
Direct
0.016 0.798 0.250 Tb
0.249 0.964 0.522 Tb
0.249 0.964 0.978 Tb
0.251 0.464 0.022 Tb
0.251 0.464 0.478 Tb
0.484 0.298 0.750 Tb
0.516 0.702 0.250 Tb
0.749 0.536 0.522 Tb
0.749 0.536 0.978 Tb
0.751 0.036 0.022 Tb
0.751 0.036 0.478 Tb
0.984 0.202 0.750 Tb
0.995 0.747 0.750 Nb
0.505 0.247 0.250 Nb
0.495 0.753 0.750 Nb
0.005 0.253 0.250 Nb
0.038 0.045 0.125 O
0.038 0.045 0.375 O
0.044 0.593 0.609 O
0.044 0.593 0.891 O
0.249 0.341 0.250 O
0.258 0.731 0.116 O
0.258 0.731 0.384 O
0.242 0.231 0.616 O
0.242 0.231 0.884 O
0.251 0.841 0.750 O
0.456 0.093 0.109 O
0.456 0.093 0.391 O
0.462 0.545 0.625 O
0.462 0.545 0.875 O
0.538 0.455 0.125 O
0.538 0.455 0.375 O
0.544 0.907 0.609 O
0.544 0.907 0.891 O
0.749 0.159 0.250 O
0.758 0.769 0.116 O
0.758 0.769 0.384 O
0.742 0.269 0.616 O
0.742 0.269 0.884 O
0.751 0.659 0.750 O
0.956 0.407 0.109 O
0.956 0.407 0.391 O
0.962 0.955 0.625 O
0.962 0.955 0.875 O
```

SG   Pnma
Calculated volume   151.48 Å³/f.u.
Total DFT energy (no corrections)   -0.634 Ry per atom
Relative energy among the computed polymorphs   0.011 eV per atom
Density of states at the Fermi level   0.00 states/eV/atom
Magnetic moment   0.000 μB/f.u.

=====

# 5
The following is a DFT calculation (PBE) of an optimized crystal structure of NbTc3O.

Cell and atoms, written as POSCAR:
```
NbTc3O
1.0
4.100 0.000 0.000
0.000 4.100 0.000
0.000 0.000 4.100
Nb Tc O
1 3 1
Direct
0.500 0.500 0.500 Nb
0.000 0.500 0.000 Tc
0.000 0.000 0.500 Tc
0.500 0.000 0.000 Tc
0.000 0.000 0.000 O
```

SG   Pm-3m
Calculated volume   68.91 Å³/f.u.
Total DFT energy (no corrections)   -0.690 Ry per atom
Relative energy among the computed polymorphs   0.000 eV per atom
Density of states at the Fermi level   0.87 states/eV/atom
Magnetic moment   0.000 μB/f.u.
'''
### Completed
# 1
The following is a DFT calculation (PBE) of an optimized crystal structure of TbNb4O8.

Cell and atoms, written as POSCAR:
```
TbNb4O8
1.0
5.255 0.000 -2.835
-3.392 4.913 0.000
0.257 0.178 6.763
Tb Nb O
1 4 8
Direct
0.000 0.500 0.500 Tb
0.000 0.000 0.000 Nb
0.000 0.500 0.000 Nb
0.500 0.500 0.000 Nb
0.500 0.000 0.000 Nb
0.468 0.734 0.201 O
0.532 0.266 0.799 O
0.492 0.246 0.229 O
0.018 0.264 0.771 O
0.508 0.754 0.771 O
0.018 0.754 0.771 O
0.982 0.246 0.229 O
0.982 0.736 0.229 O
```

SG   R-3m
Calculated volume   179.89 Å³/f.u.
Total DFT energy (no corrections)   -0.653 Ry per atom
Density of states at the Fermi level   0.55 states/eV/atom
Magnetic moment   0.000 μB/f.u.

=====

# 2
The following is a DFT calculation (PBE) of an optimized crystal structure of TbNbO4.

Cell and atoms, written as POSCAR:
```
TbNbO4
1.0
-1.569 1.846 -5.702
-0.210 -6.135 0.840
-4.083 2.519 3.921
Tb Nb O
2 2 8
Direct
0.000 0.000 0.000 Tb
0.250 0.750 0.500 Tb
0.500 0.500 0.000 Nb
0.750 0.250 0.500 Nb
0.317 0.509 0.192 O
0.874 0.683 0.192 O
0.376 0.067 0.308 O
0.491 0.683 0.808 O
0.317 0.126 0.808 O
0.933 0.241 0.308 O
0.933 0.624 0.692 O
0.759 0.067 0.692 O
```

SG   I4_1/amd
Calculated volume   91.05 Å³/f.u.
Total DFT energy (no corrections)   -0.646 Ry per atom
Density of states at the Fermi level   0.00 states/eV/atom
Magnetic moment   0.000 μB/f.u.

=====

# 3
The following is a DFT calculation (PBE) of an optimized crystal structure of TbNbO4.

Cell and atoms, written as POSCAR:
```
TbNbO4
1.0
-5.178 1.520 0.722
-1.675 -4.890 -1.713
0.160 -1.745 4.825
Tb Nb O
2 2 8
Direct
0.500 0.500 0.000 Tb
0.000 0.000 0.000 Tb
0.000 0.500 0.500 Nb
0.500 0.000 0.500 Nb
0.189 0.689 0.258 O
0.811 0.689 0.742 O
0.811 0.311 0.258 O
0.189 0.311 0.742 O
0.689 0.189 0.742 O
0.311 0.189 0.258 O
0.689 0.811 0.258 O
0.311 0.811 0.742 O
```

SG   P4/nbm
Calculated volume   76.10 Å³/f.u.
Total DFT energy (no corrections)   -0.650 Ry per atom
Density of states at the Fermi level   0.00 states/eV/atom
Magnetic moment   0.000 μB/f.u.

=====

# 4
The following is a DFT calculation (PBE) of an optimized crystal structure of Tb3NbO7.

Cell and atoms, written as POSCAR:
```
Tb3NbO7
1.0
7.484 0.000 0.000
0.000 7.605 0.000
0.000 0.000 10.645
Tb Nb O
12 4 28
Direct
0.016 0.798 0.250 Tb
0.249 0.964 0.522 Tb
0.249 0.964 0.978 Tb
0.251 0.464 0.022 Tb
0.251 0.464 0.478 Tb
0.484 0.298 0.750 Tb
0.516 0.702 0.250 Tb
0.749 0.536 0.522 Tb
0.749 0.536 0.978 Tb
0.751 0.036 0.022 Tb
0.751 0.036 0.478 Tb
0.984 0.202 0.750 Tb
0.995 0.747 0.750 Nb
0.505 0.247 0.250 Nb
0.495 0.753 0.750 Nb
0.005 0.253 0.250 Nb
0.038 0.045 0.125 O
0.038 0.045 0.375 O
0.044 0.593 0.609 O
0.044 0.593 0.891 O
0.249 0.341 0.250 O
0.258 0.731 0.116 O
0.258 0.731 0.384 O
0.242 0.231 0.616 O
0.242 0.231 0.884 O
0.251 0.841 0.750 O
0.456 0.093 0.109 O
0.456 0.093 0.391 O
0.462 0.545 0.625 O
0.462 0.545 0.875 O
0.538 0.455 0.125 O
0.538 0.455 0.375 O
0.544 0.907 0.609 O
0.544 0.907 0.891 O
0.749 0.159 0.250 O
0.758 0.769 0.116 O
0.758 0.769 0.384 O
0.742 0.269 0.616 O
0.742 0.269 0.884 O
0.751 0.659 0.750 O
0.956 0.407 0.109 O
0.956 0.407 0.391 O
0.962 0.955 0.625 O
0.962 0.955 0.875 O
```

SG   Pnma
Calculated volume   151.48 Å³/f.u.
Total DFT energy (no corrections)   -0.634 Ry per atom
Relative energy among the computed polymorphs   0.011 eV per atom
Density of states at the Fermi level   0.00 states/eV/atom
Magnetic moment   0.000 μB/f.u.

=====

# 5
The following is a DFT calculation (PBE) of an optimized crystal structure of NbTc3O.

Cell and atoms, written as POSCAR:
```
NbTc3O
1.0
4.100 0.000 0.000
0.000 4.100 0.000
0.000 0.000 4.100
Nb Tc O
1 3 1
Direct
0.500 0.500 0.500 Nb
0.000 0.500 0.000 Tc
0.000 0.000 0.500 Tc
0.500 0.000 0.000 Tc
0.000 0.000 0.000 O
```

SG   Pm-3m
Calculated volume   68.91 Å³/f.u.
Total DFT energy (no corrections)   -0.690 Ry per atom
Relative energy among the computed polymorphs   0.000 eV per atom
Density of states at the Fermi level   0.87 states/eV/atom
Magnetic moment   0.000 μB/f.u.